Don’t be too eager to hit "Send"
I had this blog entry in my “drafts” folder for over six months and it’s been quite some time since I posted an entry for the “Stuff I’ve had to learn“ category. Today I would like to remedy this situation by presenting a piece of wisdom that I’ve been forced to learn over the years.
This bit of advice has certainly resolved many tense situations and has saved more than one friendship:
Don’t be too eager to hit…
Turbo-Charged Communication
Communication today is certainly quicker than it was in the past. It is now extremely easy to fire off a quick message to someone on the other side of the world, whereas in times past it required the purchase of stationery equipment, the composition of a letter, the purchase of the appropriate stamp and delivery to the nearest postbox. A substantial wait was then required before a reply would be received.
I’m all in favour of modern communication methods – cell phones, skype, email and text messaging make communicating with those in far-flung places both efficient and cheap. For me personally, it’s what makes living in America and staying in close contact with friends in England possible. However, I would suggest that our advances in technology sometimes make communication just a little bit *too* easy…
The problem
The problem comes in that it is very easy to send someone a text, email or message in a moment of anger or hurt. A knee-jerk reaction to something someone has said or done and a relationship can be destroyed just by hitting “send”…and once something has been written and sent, it can’t be un-written or un-sent. There is a permanence to written communication. A hurtful message can be read over and over again, pouring fresh salt over the wound.
Another problem with these new ways of communicating is that they can give us a false sense of safety. On the road, people will honk their horns and shout at other drivers from the perceived security of their own car. This sense of safety also applies in cyberspace. On the Internet, people are far braver than normal, and with bravery also often comes bluntness and rudeness. You don’t have to spend much time in a chat room or forum before you come across this. People become far more direct and rude than they ever would be if they were talking face-to-face.
**Here the page breaks off for data records**
- - -
Record 1
Material: LuMgZnCd
Method: DFT, PBE-GGA
State: relaxed

Crystal system: cubic
Energy of formation from the pure elements: -264 meV/atom
Electronic total energy: -2.340 eV per atom
Magnetic moment: 0.0 μB per cell
ρ: 7.47 g/cm³

a = 6.9478 Å, b = 6.9478 Å, c = 6.9478 Å
α = 90.00°, β = 90.00°, γ = 90.00°
Closest atoms and distances in Å follow each position.
Space group F-43m (No. 216)
Asymmetric unit:
Lu 0.0000 0.0000 0.0000 [4 per cell]  4 Zn 3.01, 4 Cd 3.01
Mg 0.0000 0.0000 0.5000 [4 per cell]  4 Cd 3.01, 4 Zn 3.01
Zn 0.2500 0.2500 0.2500 [4 per cell]  4 Mg 3.01, 4 Lu 3.01
Cd 0.2500 0.2500 0.7500 [4 per cell]  4 Mg 3.01, 4 Lu 3.01

Record 2
Material: Lu2MnCd
Method: DFT, PBE-GGA
State: relaxed

E above lowest polymorph: 0.093 eV/atom
Crystal system: cubic
Energy of formation from the pure elements: -17 meV/atom
Electronic total energy: -4.798 eV per atom
Magnetic moment: 12.7 μB per cell
ρ: 9.38 g/cm³

a = 7.1553 Å, b = 7.1553 Å, c = 7.1553 Å
α = 90.00°, β = 90.00°, γ = 90.00°
Closest atoms and distances in Å follow each position.
Space group Fm-3m (No. 225)
Asymmetric unit:
Lu 0.2500 0.2500 0.2500 [8 per cell]  4 Cd 3.10, 4 Mn 3.10
Mn 0.0000 0.0000 0.0000 [4 per cell]  8 Lu 3.10
Cd 0.0000 0.0000 0.5000 [4 per cell]  8 Lu 3.10

Record 3
Material: Lu2MnCd
Method: DFT, PBE-GGA
State: relaxed

E above lowest polymorph: 0.000 eV/atom
Crystal system: tetragonal
Energy of formation from the pure elements: -109 meV/atom
Electronic total energy: -4.891 eV per atom
Magnetic moment: 2.5 μB per cell
ρ: 9.60 g/cm³

a = 3.4117 Å, b = 3.4117 Å, c = 7.6891 Å
α = 90.00°, β = 90.00°, γ = 90.00°
Closest atoms and distances in Å follow each position.
Space group P4/mmm (No. 123)
Asymmetric unit:
Lu 0.0000 0.0000 0.2219 [2 per cell]  4 Mn 2.95, 4 Cd 3.22
Mn 0.5000 0.5000 0.0000 [1 per cell]  8 Lu 2.95
Cd 0.5000 0.5000 0.5000 [1 per cell]  8 Lu 3.22, 4 Cd 3.41

Record 4
Material: NdLuMnCd
Method: DFT, PBE-GGA
State: relaxed

Crystal system: cubic
Energy of formation from the pure elements: 12 meV/atom
Electronic total energy: -4.832 eV per atom
Magnetic moment: 12.8 μB per cell
ρ: 8.13 g/cm³

a = 7.3528 Å, b = 7.3528 Å, c = 7.3528 Å
α = 90.00°, β = 90.00°, γ = 90.00°
Closest atoms and distances in Å follow each position.
Space group F-43m (No. 216)
Asymmetric unit:
Nd 0.0000 0.0000 0.0000 [4 per cell]  4 Cd 3.18, 4 Mn 3.18
Lu 0.0000 0.0000 0.5000 [4 per cell]  4 Cd 3.18, 4 Mn 3.18
Mn 0.2500 0.2500 0.7500 [4 per cell]  4 Nd 3.18, 4 Lu 3.18
Cd 0.2500 0.2500 0.2500 [4 per cell]  4 Nd 3.18, 4 Lu 3.18


HgPd2SF: relaxed, GGA-PBE.

Computed properties:
E   -18.079 eV/cell
Raw formation energy   -26.9 kJ per mole of atoms
Space group   P4/mmm, No. 123
Total moment   0.00 μB per cell
Calculated volume   89 Å³ per cell

Geometry as POSCAR:
```
HgPd2SF
1.0
4.5757 0.0000 0.0000
0.0000 4.2437 0.0000
0.0000 0.0000 4.5757
Hg Pd S F
1 2 1 1
Cartesian
2.2879 2.1218 2.2879 Hg
2.2879 0.0000 0.0000 Pd
0.0000 0.0000 2.2879 Pd
0.0000 0.0000 0.0000 S
0.0000 2.1218 0.0000 F
```
- - -
**The data records stop here**
Biblical Warnings
There is a danger to words that the Bible clearly recognizes. In the Old Testament, the book of Proverbs has much to say about the human tongue:
“Sin is not ended by multiplying words, but the prudent hold their tongues…”
– Proverbs 10:19
“The tongue of the wise adorns knowledge, but the mouth of the fool gushes folly…”
– Proverbs 15:2
“The soothing tongue is a tree of life, but a perverse tongue crushes the spirit…”
– Proverbs 15:4
“Even fools are thought wise if they keep silent, and discerning if they hold their tongues… ”
– Proverbs 17:28
This pattern of thought is picked up in the New Testament particularly by St. James’ Epistle:
“My dear brothers and sisters, take note of this: Everyone should be quick to listen, slow to speak and slow to become angry” – James 1:19
St. James later goes on to present different imagery to try and express the power of the tongue, describing it as the small rudder which controls a large ship and as a tiny spark which can set a great forest ablaze. Both of these books of the Bible underscore the havoc that words can wreak. They should not be used lightly, particularly when these words can be delivered at speed with modern means of communication.
Personal Experience
At the beginning of this entry, I alluded that I have had to learn this piece of advice through bitter experience. I now have a policy that when I receive a toxic email from someone or a message which concerns an extremely delicate subject, I try to wait a while (preferably 24 hours) until I write a response. This gives me time to cool down, think clearly and be constructive. I also have a couple of friends who I will sometimes ask to check my responses to try and make sure that pride and hurt haven’t unnecessarily leaked into my response.
Unfortunately, a little while ago, I broke my own rule and it was to my own cost. A friend did something related to subject about which I am particularly sensitive. It touched a nerve. I didn’t wait. I didn’t give myself time to cool down. I didn’t run my words past anyone else. I snapped back and said stuff I wish I hadn’t.
Our friendship hasn’t been the same since.

“The words of the reckless pierce like swords, but the tongue of the wise brings healing…” – Proverbs 12:18